When you first get engaged, once you’ve come down from the high of “Holy hell, I’m getting married!” you start to think of the people who you must have standing by your side.
After being a wedding blog stalker for many months years (I’m all about being transparent here), I discovered that there are actually people out there who do fun things (instead of just a simple phone call or lunch) to ask friends to be in the wedding party. Who knew?! Of course this got my wheels turning and in true Froggie fashion, I had no choice but to shower the girls I love with a little over-the-top humor.
I have five girls total standing up with me:
Matron of Honor: Banannie
Maid of Honor: Big Apple
Bridesmaid: Creeker
Bridesmaid: Belle
Bridesmaid: Berk
Four out of the five lived right near me at the time so I was able to meet with them in person and see their reactions to the cards I created. The fifth was sent in the mail followed by a fantastic phone call filled with laughter. Without further ado…here’s what my girls were given:

Never mind my practice C’s in the background…move along, nothing to see here.

Don’t be jealous of my paint skeelz

**Here the piece breaks off for materials data**
# 1
Diffraction record for Mg14CuSiO16. The powder X-ray diffraction pattern is theoretical, not measured: it uses a cell relaxed with GGA-PBE and Cu Kα (weighted mean of Kα1 and Kα2).
Peak positions follow from Bragg's law for the DFT cell and can differ from measured ones.

Structure:
Cell: 4.251 8.556 8.593 Å, 90.00 90.00 90.00°
Space group Pmmm (No. 47)
One atom of each set of equivalent atoms:
Mg (0.000, 0.000, 0.000) (multiplicity 1)
Mg (0.000, 0.244, 0.249) (multiplicity 4)
Mg (0.000, 0.500, 0.000) (multiplicity 1)
Mg (0.500, 0.000, 0.252) (multiplicity 2)
Mg (0.500, 0.243, 0.500) (multiplicity 2)
Mg (0.500, 0.247, 0.000) (multiplicity 2)
Mg (0.500, 0.500, 0.249) (multiplicity 2)
Cu (0.000, 0.000, 0.500) (multiplicity 1)
Si (0.000, 0.500, 0.500) (multiplicity 1)
O (0.000, 0.000, 0.234) (multiplicity 2)
O (0.000, 0.256, 0.000) (multiplicity 2)
O (0.000, 0.289, 0.500) (multiplicity 2)
O (0.000, 0.500, 0.260) (multiplicity 2)
O (0.500, 0.000, 0.000) (multiplicity 1)
O (0.500, 0.000, 0.500) (multiplicity 1)
O (0.500, 0.251, 0.252) (multiplicity 4)
O (0.500, 0.500, 0.000) (multiplicity 1)
O (0.500, 0.500, 0.500) (multiplicity 1)

Largest 8 diffraction maxima, sorted by position, 5° ≤ 2θ ≤ 70°:
d_spacing, Rel. int., (hkl)
8.580, 20, 0 0 1
2.468, 48, 1 2 2
2.148, 100, 0 0 4
2.139, 95, 0 4 0
2.126, 98, 2 0 0
1.516, 54, 0 4 4
1.511, 56, 2 0 4
1.508, 53, 2 4 0

=====

# 2
Diffraction record for PrCdIn. The powder X-ray diffraction pattern is theoretical, not measured: it uses a cell relaxed with GGA-PBE and Cu Kα (weighted mean of Kα1 and Kα2).
Peak positions follow from Bragg's law for the DFT cell and can differ from measured ones.

Structure:
Cell: 4.9657 4.9657 7.8232 Å, 90.00 90.00 120.00°
Space group P-3m1 (No. 164)
One atom of each set of equivalent atoms:
Pr (0.0000, 0.0000, 0.2381) (multiplicity 2)
Cd (0.3333, 0.6667, 0.9734) (multiplicity 2)
In (0.3333, 0.6667, 0.5514) (multiplicity 2)

Largest 8 diffraction maxima, sorted by position, 5° ≤ 2θ ≤ 70°:
d_spacing, Rel. int., (hkl)
3.769, 8, 1 0 1
2.894, 100, 1 0 2
2.483, 77, 1 1 0
2.230, 16, 0 1 3
1.884, 28, 0 2 2
1.536, 16, 1 1 4
1.501, 27, 2 1 2
1.433, 13, 3 0 0

=====

# 3
Diffraction record for KLaNb4O12. The powder X-ray diffraction pattern is theoretical, not measured: it uses a cell relaxed with GGA-PBE and Cu Kα (weighted mean of Kα1 and Kα2).
Peak positions follow from Bragg's law for the DFT cell and can differ from measured ones.

Structure:
Cell: 7.983 7.923 8.157 Å, 90.00 90.00 90.00°
Space group Amm2 (No. 38)
One atom of each set of equivalent atoms:
K (0.000, 0.000, 0.000) (multiplicity 2)
La (0.500, 0.000, 0.491) (multiplicity 2)
Nb (0.248, 0.247, 0.741) (multiplicity 8)
O (0.000, 0.230, 0.254) (multiplicity 4)
O (0.237, 0.000, 0.774) (multiplicity 4)
O (0.264, 0.226, 0.509) (multiplicity 8)
O (0.286, 0.000, 0.257) (multiplicity 4)
O (0.500, 0.223, 0.756) (multiplicity 4)

Largest 8 diffraction maxima, sorted by position, 5° ≤ 2θ ≤ 70°:
d_spacing, Rel. int., (hkl)
**End of the materials data**

Although you didn’t ask for it and really there’s not much to it, I will give you the “I’m not allowed to call it a DIY because it was way too easy” DIY.
Step 1 – Consult your best friend Google for an image of a scary looking bridesmaid dress. Sorry hot pink dress girl but your dress is hid.e.ous.
Step 2 – Print out copies of said image on your cheapie home printer.
Step 3 – Grab leftover construction paper from (I’m guessing) elementary school since you don’t remember the last time you used it or why you even have it. Cut paper to same size as image.
Step 4 – Use leftover mega-size index cards previously meant as exam-cram flashcards from college and fold in half.
Step 5 – Cut out rectangles of black construction paper and use white-out pen to write “CENSORED” on them…are you still with me? I know, this is all very difficult and confusing.
Step 6 – Take folded index card as base, paste colored construction paper square on cover, top with scary dress image and protect that poor girl’s face with the censored rectangle.
Step 7 – Write obnoxious message inside that only your friends could possibly appreciate.

Voila! You are set to ask your favorite girls to stand by your side on your big day.
Now that you’ve seen the incredibly labor intensive cards I created (insert sarcasm font here) to ask them to be my bridesmaids, I think it’s time for a proper introduction.

Banannie and I met nearly 10 years ago while working together at a resort in Phoenix. We share a sense of humor, love of cooking and desire to travel. But the main reason I’ve kept her around is that she used to be a bartender so she knows how to make a killer cocktail.
Big Apple

Big Apple and I shared a first day of work together and have been close ever since. We eventually became roommates bonding over bad furniture, burnt food and cheap wine. As my most common happy hour friend, Big Apple was fully supportive of a wedding in Washington’s wine country. She’s even offered her services at the wine tasting…

I honestly can’t remember when I met Creeker, it seems as though we’ve been friends forever! We share a strong love for country music and making people dress up in funny costumes. Creeker works for a world class resort in Sedona…Creeker, we accept vacations as gifts, just saying.

I met Belle back when we lived in neighboring apartment complexes and soon became close friends. Belle always knows how to host a great party…perhaps she can give us a break and just finish out our planning – no pressure.

Berk is my oldest friend, we have known each other for almost 20 years. We survived the turmoil of middle school and threw our caps together at high school graduation. I decided to go out of state for college, Berk decided to go out state for college; I majored in PR, Berk majored in PR; I am now getting married…Berk, looks like you’re up – stalker.
Aren’t my girls just FAB? I adore them and luckily they are all as goofy and geeky as I am – plus, they allow me to say obnoxious things about them in my blog posts. Now that’s friendship.
How did you ask your friends to be in your wedding?